Simulated PXRD pattern of CdIr15 for Cu Kα, 1.54184 Å, from the GGA-PBE geometry in OQMD.
Lines closer than 0.1° are merged.

Peak list (10 most intense, 2θ = 10–90°, by angle)
- 2.267 Å, 39.76°, I 69
- 2.262 Å, 39.86°, I 68
- 2.200 Å, 41.04°, I 100
- 1.935 Å, 46.96°, I 59
- 1.931 Å, 47.07°, I 44
- 1.366 Å, 68.70°, I 18
- 1.366 Å, 68.72°, I 30
- 1.172 Å, 82.25°, I 17
- 1.170 Å, 82.45°, I 17
- 1.163 Å, 83.06°, I 14

Structure:
```
data_CdIr15
_chemical_formula_sum 'Cd2 Ir30'
_cell_length_a 5.463
_cell_length_b 2.741
_cell_length_c 44.374
_cell_angle_alpha 90.00
_cell_angle_beta 90.00
_cell_angle_gamma 90.00
_symmetry_space_group_name_H-M 'P 1 21/m 1'
_symmetry_Int_Tables_number 11
loop_
_symmetry_equiv_pos_as_xyz
'x,y,z'
'-x,-y,-z'
'-x,y+1/2,-z'
'x,-y+1/2,z'
loop_
_atom_site_label
_atom_site_type_symbol
_atom_site_fract_x
_atom_site_fract_y
_atom_site_fract_z
_atom_site_occupancy
Cd1 Cd 0.125 0.250 0.161 1
Ir1 Ir 0.121 0.250 0.784 1
Ir2 Ir 0.125 0.250 0.260 1
Ir3 Ir 0.125 0.250 0.347 1
Ir4 Ir 0.125 0.250 0.434 1
Ir5 Ir 0.125 0.250 0.522 1
Ir6 Ir 0.125 0.250 0.609 1
Ir7 Ir 0.126 0.250 0.697 1
Ir8 Ir 0.371 0.750 0.216 1
Ir9 Ir 0.375 0.750 0.391 1
Ir10 Ir 0.375 0.750 0.478 1
Ir11 Ir 0.375 0.750 0.566 1
Ir12 Ir 0.375 0.750 0.653 1
Ir13 Ir 0.375 0.750 0.740 1
Ir14 Ir 0.375 0.750 0.824 1
Ir15 Ir 0.376 0.750 0.303 1
```

=====

# 1
Theoretical powder X-ray diffraction pattern
Compound: DyTc2O8
Radiation: a wavelength of 1.5418 Å
Structure: a structure optimized by DFT (GGA-PBE)
Neutral-atom scattering factors, no anomalous dispersion.

Structure:
a b c (Å): 6.732 6.732 6.732
angles (deg): 60.00 60.00 60.00
Sites, in units of the cell vectors:
Dy  0.000  0.000  0.000
Tc  0.250  0.250  0.250
Tc  0.750  0.750  0.750
O  0.144  0.144  0.144
O  0.144  0.144  0.569
O  0.144  0.569  0.144
O  0.431  0.856  0.856
O  0.569  0.144  0.144
O  0.856  0.431  0.856
O  0.856  0.856  0.431
O  0.856  0.856  0.856

Largest 10 diffraction maxima, in order of falling intensity, 2θ = 10–80°:
| Position (°2θ) | I (rel.) |
| --- | --- |
| 26.5 | 100 |
| 16.1 | 60 |
| 46.7 | 39 |
| 41.3 | 22 |
| 74.6 | 21 |
| 54.5 | 20 |
| 61.6 | 16 |
| 31.2 | 12 |
| 57.2 | 10 |
| 37.8 | 9 |

=====

# 2
Theoretical powder X-ray diffraction pattern
Compound: Dy3TcO6
Radiation: a wavelength of 1.5418 Å
Structure: a structure optimized by DFT (GGA-PBE)
Neutral-atom scattering factors, no anomalous dispersion.

Structure:
a b c (Å): 6.523 6.523 6.523
angles (deg): 98.24 98.24 98.24
Sites, in units of the cell vectors:
Dy  0.104  0.613  0.786
Dy  0.214  0.896  0.387
Dy  0.387  0.214  0.896
Dy  0.613  0.786  0.104
Dy  0.786  0.104  0.613
Dy  0.896  0.387  0.214
Tc  0.000  0.000  0.000
Tc  0.500  0.500  0.500
O  0.067  0.307  0.922
O  0.078  0.933  0.693
O  0.193  0.552  0.437
O  0.307  0.922  0.067
O  0.437  0.193  0.552
O  0.448  0.563  0.807
O  0.552  0.437  0.193
O  0.563  0.807  0.448
O  0.693  0.078  0.933
O  0.807  0.448  0.563
O  0.922  0.067  0.307
O  0.933  0.693  0.078

Largest 10 diffraction maxima, in order of falling intensity, 2θ = 10–80°:
| Position (°2θ) | I (rel.) |
| --- | --- |
| 29.2 | 100 |
| 33.5 | 83 |
| 47.4 | 53 |
| 28.1 | 41 |
| 48.9 | 32 |
| 57.3 | 21 |
| 58.0 | 18 |
| 56.0 | 17 |
| 60.5 | 16 |
| 79.1 | 15 |

=====

# 3
Theoretical powder X-ray diffraction pattern
Compound: DyTlTc2O8
Radiation: a wavelength of 1.5418 Å
Structure: a structure optimized by DFT (GGA-PBE)
Neutral-atom scattering factors, no anomalous dispersion.

Structure:
a b c (Å): 6.018 6.018 7.764
angles (deg): 90.00 90.00 120.00
Sites, in units of the cell vectors:
Dy  0.000  0.000  0.000
Tl  0.000  0.000  0.500
Tc  0.333  0.667  0.255
Tc  0.667  0.333  0.745
O  0.169  0.341  0.177
O  0.173  0.831  0.177
O  0.333  0.667  0.480
O  0.341  0.173  0.823
O  0.659  0.827  0.177
O  0.667  0.333  0.520
O  0.827  0.169  0.823
O  0.831  0.659  0.823

Largest 10 diffraction maxima, in order of falling intensity, 2θ = 10–80°:
| Position (°2θ) | I (rel.) |
| --- | --- |
| 28.7 | 100 |
| 29.7 | 77 |

Return all of the data further above unchanged.

Simulated PXRD pattern of CdIr15 for Cu Kα, 1.54184 Å, from the GGA-PBE geometry in OQMD.
Lines closer than 0.1° are merged.

Peak list (10 most intense, 2θ = 10–90°, by angle)
- 2.267 Å, 39.76°, I 69
- 2.262 Å, 39.86°, I 68
- 2.200 Å, 41.04°, I 100
- 1.935 Å, 46.96°, I 59
- 1.931 Å, 47.07°, I 44
- 1.366 Å, 68.70°, I 18
- 1.366 Å, 68.72°, I 30
- 1.172 Å, 82.25°, I 17
- 1.170 Å, 82.45°, I 17
- 1.163 Å, 83.06°, I 14

Structure:
```
data_CdIr15
_chemical_formula_sum 'Cd2 Ir30'
_cell_length_a 5.463
_cell_length_b 2.741
_cell_length_c 44.374
_cell_angle_alpha 90.00
_cell_angle_beta 90.00
_cell_angle_gamma 90.00
_symmetry_space_group_name_H-M 'P 1 21/m 1'
_symmetry_Int_Tables_number 11
loop_
_symmetry_equiv_pos_as_xyz
'x,y,z'
'-x,-y,-z'
'-x,y+1/2,-z'
'x,-y+1/2,z'
loop_
_atom_site_label
_atom_site_type_symbol
_atom_site_fract_x
_atom_site_fract_y
_atom_site_fract_z
_atom_site_occupancy
Cd1 Cd 0.125 0.250 0.161 1
Ir1 Ir 0.121 0.250 0.784 1
Ir2 Ir 0.125 0.250 0.260 1
Ir3 Ir 0.125 0.250 0.347 1
Ir4 Ir 0.125 0.250 0.434 1
Ir5 Ir 0.125 0.250 0.522 1
Ir6 Ir 0.125 0.250 0.609 1
Ir7 Ir 0.126 0.250 0.697 1
Ir8 Ir 0.371 0.750 0.216 1
Ir9 Ir 0.375 0.750 0.391 1
Ir10 Ir 0.375 0.750 0.478 1
Ir11 Ir 0.375 0.750 0.566 1
Ir12 Ir 0.375 0.750 0.653 1
Ir13 Ir 0.375 0.750 0.740 1
Ir14 Ir 0.375 0.750 0.824 1
Ir15 Ir 0.376 0.750 0.303 1
```

=====

# 1
Theoretical powder X-ray diffraction pattern
Compound: DyTc2O8
Radiation: a wavelength of 1.5418 Å
Structure: a structure optimized by DFT (GGA-PBE)
Neutral-atom scattering factors, no anomalous dispersion.

Structure:
a b c (Å): 6.732 6.732 6.732
angles (deg): 60.00 60.00 60.00
Sites, in units of the cell vectors:
Dy  0.000  0.000  0.000
Tc  0.250  0.250  0.250
Tc  0.750  0.750  0.750
O  0.144  0.144  0.144
O  0.144  0.144  0.569
O  0.144  0.569  0.144
O  0.431  0.856  0.856
O  0.569  0.144  0.144
O  0.856  0.431  0.856
O  0.856  0.856  0.431
O  0.856  0.856  0.856

Largest 10 diffraction maxima, in order of falling intensity, 2θ = 10–80°:
| Position (°2θ) | I (rel.) |
| --- | --- |
| 26.5 | 100 |
| 16.1 | 60 |
| 46.7 | 39 |
| 41.3 | 22 |
| 74.6 | 21 |
| 54.5 | 20 |
| 61.6 | 16 |
| 31.2 | 12 |
| 57.2 | 10 |
| 37.8 | 9 |

=====

# 2
Theoretical powder X-ray diffraction pattern
Compound: Dy3TcO6
Radiation: a wavelength of 1.5418 Å
Structure: a structure optimized by DFT (GGA-PBE)
Neutral-atom scattering factors, no anomalous dispersion.

Structure:
a b c (Å): 6.523 6.523 6.523
angles (deg): 98.24 98.24 98.24
Sites, in units of the cell vectors:
Dy  0.104  0.613  0.786
Dy  0.214  0.896  0.387
Dy  0.387  0.214  0.896
Dy  0.613  0.786  0.104
Dy  0.786  0.104  0.613
Dy  0.896  0.387  0.214
Tc  0.000  0.000  0.000
Tc  0.500  0.500  0.500
O  0.067  0.307  0.922
O  0.078  0.933  0.693
O  0.193  0.552  0.437
O  0.307  0.922  0.067
O  0.437  0.193  0.552
O  0.448  0.563  0.807
O  0.552  0.437  0.193
O  0.563  0.807  0.448
O  0.693  0.078  0.933
O  0.807  0.448  0.563
O  0.922  0.067  0.307
O  0.933  0.693  0.078

Largest 10 diffraction maxima, in order of falling intensity, 2θ = 10–80°:
| Position (°2θ) | I (rel.) |
| --- | --- |
| 29.2 | 100 |
| 33.5 | 83 |
| 47.4 | 53 |
| 28.1 | 41 |
| 48.9 | 32 |
| 57.3 | 21 |
| 58.0 | 18 |
| 56.0 | 17 |
| 60.5 | 16 |
| 79.1 | 15 |

=====

# 3
Theoretical powder X-ray diffraction pattern
Compound: DyTlTc2O8
Radiation: a wavelength of 1.5418 Å
Structure: a structure optimized by DFT (GGA-PBE)
Neutral-atom scattering factors, no anomalous dispersion.

Structure:
a b c (Å): 6.018 6.018 7.764
angles (deg): 90.00 90.00 120.00
Sites, in units of the cell vectors:
Dy  0.000  0.000  0.000
Tl  0.000  0.000  0.500
Tc  0.333  0.667  0.255
Tc  0.667  0.333  0.745
O  0.169  0.341  0.177
O  0.173  0.831  0.177
O  0.333  0.667  0.480
O  0.341  0.173  0.823
O  0.659  0.827  0.177
O  0.667  0.333  0.520
O  0.827  0.169  0.823
O  0.831  0.659  0.823

Largest 10 diffraction maxima, in order of falling intensity, 2θ = 10–80°:
| Position (°2θ) | I (rel.) |
| --- | --- |
| 28.7 | 100 |
| 29.7 | 77 |